Linda Rousseva
Report: Water and Change
- Describe and include a map locating water scarcity
- Define physical water scarcity and economic water scarcity
- Physical causes of scarcity
- Human causes of scarcity (which of these are economic scarcity)
- Generally what methods are available to deal with these problems
- Case study (either make lots of little case studies or 2 larger case studies one Physical and one Human scarcity)
(Water Scarcity)
- Physical water scarcity mostly found
- Around Tropics of Cancer & Capricorn; 30-35˚ North and South
- Southern USA & central America
- North Africa
- Middle East and central Asia (including India and N China)
- South Africa and south eastern Australia
- Economic water scarcity mostly found
- In and around the equator
- Mainly in Central Africa
- West coast of South America
- Central and Western India
- Southern China
2. Physical water scarcity: The physical absence of water, “when the water resources cannot meet the demands of the population” (“Map Details Global Water Stress”).
Economic water scarcity:There may be plenty of available water, but it is potentially unaffordable for the population, or it costs too much money to make it safe drinkable water. It“occurs due to a lack of investment and is characterised by poor infrastructure and unequal distribution of water”(“Map Details Global Water Stress”).
3. Physical causes of water scarcity:
- Arid regions:
- Regions of high atmospheric pressure sinking air in the Hadley cell warms and dries no clouds, therefore no rain("The Causes and Distribution of Deserts.")
- Areas with >250mm rain per year
- Mainly around Tropics of Cancer and Capricorn (30˚ N and S of the Equator)
- Rain shadows:
- When moving air reaches a mountain is rises and cools precipitation the other side of the mountain stays dry (Rain Shadow Effect)
- Climate change and variability
- Drought
- Severe flooding
4. Human causes of water scarcity:
- Population growth
- Leads to growing demand
- Land use
- Food production (deforestation)
- Agriculturee.g. crops like rice and cotton which require a lot of water to be grown
- Grazing
- The reduction of vegetation in an area can lead to more surface run-off and a reduction in groundwater infiltration
- Draining an area of water
- Pollution of water
- As water becomes more scarce and more of it is used, there is a smaller dilution factor, therefore the pollution in the water becomes more concentrated
- Water contamination due to
- Agriculture
- Industry
- Domestic uses e.g. sewage
5. Methods available to deal with human water scarcity:(Coping with Water Scarcity.)
- Investments in water supply, sanitation and management
- E.g. LIFESAVER®systems, which are highly effective water filters (relatively low-cost), and allow populations to stay in place to e.g. rebuild after a flood, rather than have to move to camps and rely on imported bottled water
- Managing wastewater and pollution control
- Not dumping it in places where it cannot be re-used e.g. the sea
- Using it for agriculture i.e. irrigation because it is rich in plant nutrients
- Putting in place low-cost primary and secondary treatment("Introduction to Wastewater Treatment Processes.")
- Primary treatment:
- Mechanical treatment to remove suspended solids
- Removes 50-60% of suspended solids
- Reduces BOD (biological oxygen demand, i.e. how many organisms are living in the water) by 20%
- Secondary treatment:
- Biological treatment to remove dissolved organic matter by undergoing aerobic respiration to convert organic molecules into carbon dioxide, water and energy
- 85% of suspended solids and BOD are reduced
- Desalination of sea water
- Increasingly affordable due to development of technologies
Methods available to deal with physical water scarcity:
- Transferring water from water-rich to water-scarce basins to reduce local imbalance; see LV case study below
6. LAS VEGASAND THE GREAT BASIN AQUIFER Case Study:(Garrington, Sally)
- Physical water scarcity
- Aquifer: an underground storage of water in permeable rock layers
- Arid southwestern USA
- In rain shadow because surrounded by Sierra Nevada Mountains and the Rockies
- Mohave Desert (Nevada-California) and the Great Basin (central Nevada)
- Las Vegas – southern Nevada
- Area has suffered drought since 1999
- 1999-2009 Colorado River’s flow: 66% of normal
- Southern Nevada relies on this for 90% of its water
- Lakes Mead & Powel: only 52% full
- Las Vegas
- Desert climate: 114mm rain/year and 40˚C max. temperature
- High water demand due to increased population because of:
- Immigration
- Land available for agriculture, grazing, military tests
- Mining minerals in the deserts
- Constructing and maintaining dams for water supply
- Electronic industries (clean, dry air)
- Tourism e.g. Grand Canyon
- Climate change may be a cause, because:
- Rain-bearing winds track further north
- Average temperature has increased over last 25 years
- Population increase in the area higher water demand
- Over-extraction of the water
- Nevada still allowing new developments e.g. 120 000 new homes and 6 new golf courses
- Water conservation, but more money spent on developing new water resources
- Alburquerque: reduced consumption by 33% 1993-2001
- $1 million budget for publicity & education water efficiency & conservation
- Tariffs for water so that more used = higher cost
- Free water-use assessment for households & businesses
- Rebates for efficient dishwashers, low-flush toilets, desert- rather than turf-landscaped gardens
- Water regulations, especially in drought
- Las Vegas:
- Recycling water e.g. for golf courses
- Watering
- Only before 11am and after 7pm (lower evaporation rates)
- 1 day/week in winter and 3 day/week in spring & autumn
- Car washes: collect, clean & reuse water
- 1986 - The Great Basin National Park
- Centered on Wheeler Peak snow provides water for the Basin
- Building a third, deeper intake pipe taking water from the Colorado River
- Controversial: Southern Nevada Water Authority (SNWA) pipeline
- To be finished 2015, pumping 293 billion liters/year
- 485km long with 34 groundwater wells, 3 pumping stations, 6 regulating tanks, 1 storage reservoir (180 million liters)
- Cost: $5 billion, so far $78 million spent buying up land & water rights
The article is interrupted by records of crystals.
Starting from a DFT-relaxed cell (GGA+U, Alexandria), the X-ray powder pattern of Ba2InFe2O6 was calculated for Cu Kα (λ = 1.5418 Å).

Cell and atoms:
Cell lengths 6.646, 6.646, 6.646 Å; angles 54.57, 54.57, 54.57 degrees
Element x y z (fractional)
Ba 0.215 0.215 0.215
Ba 0.785 0.785 0.785
In 0.000 0.000 0.000
Fe 0.424 0.424 0.424
Fe 0.576 0.576 0.576
O 0.233 0.757 0.757
O 0.243 0.243 0.767
O 0.243 0.767 0.243
O 0.757 0.233 0.757
O 0.757 0.757 0.233
O 0.767 0.243 0.243

Principal peaks in the range 2θ = 10–90°, sorted by position:
27.0°, 3.300 Å, rel. 25
29.3°, 3.047 Å, rel. 100
31.4°, 2.848 Å, rel. 71
40.3°, 2.239 Å, rel. 23
43.5°, 2.081 Å, rel. 30
52.0°, 1.759 Å, rel. 20
53.3°, 1.718 Å, rel. 33
57.6°, 1.600 Å, rel. 22
60.8°, 1.523 Å, rel. 18
70.0°, 1.343 Å, rel. 13

~~~~~

(1)
Computed X-ray powder pattern
Compound: Mn6Os2N
Radiation: CuKα
Structure: a PBE-relaxed structure
Intensities are scaled so that the largest is 100.

Peak list (10 most intense, 2θ = 15–90°, in order of rising 2θ)
- 2θ 24.2, rel. 17
- 2θ 28.0, rel. 12
- 2θ 33.9, rel. 11
- 2θ 37.1, rel. 11
- 2θ 42.1, rel. 100
- 2θ 48.7, rel. 35
- 2θ 49.6, rel. 16
- 2θ 72.0, rel. 20
- 2θ 86.4, rel. 23
- 2θ 87.7, rel. 11

Structural model:
abc: 6.4463 6.4463 2.6457
angles: 90.00 90.00 110.43
Fractional positions:
Mn 0.0000 0.5000 0.5000
Mn 0.1335 0.8665 0.0000
Mn 0.2598 0.2598 0.5000
Mn 0.5000 0.0000 0.5000
Mn 0.7402 0.7402 0.5000
Mn 0.8665 0.1335 0.0000
Os 0.3714 0.6286 0.0000
Os 0.6286 0.3714 0.0000
N 0.0000 0.0000 0.5000

(2)
Computed X-ray powder pattern
Compound: MnPN
Radiation: CuKα
Structure: a PBE-relaxed structure
Intensities are scaled so that the largest is 100.

Peak list (10 most intense, 2θ = 15–90°, in order of rising 2θ)
- 2θ 21.9, rel. 25
- 2θ 36.0, rel. 100
- 2θ 44.5, rel. 26
- 2θ 50.1, rel. 24
- 2θ 58.2, rel. 9
- 2θ 58.4, rel. 18
- 2θ 63.3, rel. 17
- 2θ 70.4, rel. 8
- 2θ 76.2, rel. 5
- 2θ 76.4, rel. 5

Structural model:
abc: 3.1595 3.1595 4.4513
angles: 110.74 110.74 60.20
Fractional positions:
Mn 0.0000 0.0000 0.0000
P 0.4501 0.4501 0.3480
N 0.5843 0.5843 0.7518

(3)
Computed X-ray powder pattern
Compound: MnPSeSN
Radiation: CuKα
Structure: a PBE-relaxed structure
Intensities are scaled so that the largest is 100.

Peak list (10 most intense, 2θ = 15–90°, in order of rising 2θ)
- 2θ 21.1, rel. 100
- 2θ 24.5, rel. 60
- 2θ 24.8, rel. 28
- 2θ 26.8, rel. 44
- 2θ 28.1, rel. 67
- 2θ 30.6, rel. 35
- 2θ 35.7, rel. 44
- 2θ 39.1, rel. 41
- 2θ 42.6, rel. 37
- 2θ 49.6, rel. 30

Structural model:
abc: 3.8163 4.4026 5.9752
angles: 81.79 79.24 74.15
Fractional positions:
Mn 0.0000 0.0000 0.0000
P 0.1523 0.4318 0.1111
Se 0.8205 0.1484 0.4174
S 0.1891 0.8222 0.6430
N 0.4712 0.1367 0.0068

(4)
Computed X-ray powder pattern
Compound: MnPSeSN
Radiation: CuKα
Structure: a PBE-relaxed structure
Intensities are scaled so that the largest is 100.

Peak list (10 most intense, 2θ = 15–90°, in order of rising 2θ)
- 2θ 16.8, rel. 61
- 2θ 20.1, rel. 26
- 2θ 22.8, rel. 100
- 2θ 29.8, rel. 27
The records of crystals stop here.
- Problem = area that water will be pumped out supports family ranches and important ecosystems with xerophytic plants which will die desertification dust storms due to strong winds pollution & spreading desertification
BANGLADESHCase Study:(Mbugua, Alice)
- Human/Economic water scarcity
WHAT & WHERE: (Image: Ptel)
- Tropical climate because of Himalayan Mountains in north
- Warm & humid: average temperature is 26˚C and average annual rainfall is 2540mm
- External rivers 92% water in Bangladesh
- Brahmaputra: 67%
- Ganges: 18%
- Meghna and other minor rivers: 15%
- Local rainfall 8% water in Bangladesh
- Climate change rise in global temperature & drop in rainfall, increased extreme weather, changing patterns increased diseases, water scarcity
- Change of Monsoon direction from heading North to heading East
- 19 drought periods 1960-1991
- 1˚C rise in average May temperature 1985-1998
- 5˚C winter 2007: lowest temperature recorded in 38 years
- Himalayan glaciers diminishing
- Increase demand due to developing country with an increasing population
- Neighboring countries e.g. China building dams in Himalayan Mountains negative impact because restricting water flow from rivers into Bangladesh
- Farakka dam on Ganges in India, 17km from border
- Indian barrage construction lower water level of Teesta river
- Surface water of ponds & canals disappeared
- 147 billion cubic meters required, only 90 available
- 50-60% of irrigation water lost: improper technical management
- Reduction of biodiversity due to:
- Deforestation for firewood and financial gain
- 55% cover in 1849, now under 17%
- Agriculture and mono-cropping of rice
- Reduction of crop land (over 50% land use is for agriculture)
- Insufficient water management and treatment facilities
- Lack of energy, money, awareness
- Diesel: main power for irrigation, but price is increasing
- Impact on humans:
- Increased labor migration
- Decreased hygiene
- Food insecurity
- For food insecurity:
- Planting direct seeded rice, then rabi crops to “take advantage of residual moisture soon after rice harvest”
- Cassava and yams: drought resistant & do not need a lot of water
- Adapting to eating different foods e.g. leaves and grasses
- Introducing less water-intensive crops e.g. maize and wheat and high economic value crops e.g. chickpeas and mangoes
- Community education
- Reversing climate change impacts
- Family planning
- Helping small-scale farmers (90% of farming in the area is small-scale) to cope with rising diesel prices for irrigation
- Training in proper irrigation and soil management to increase efficiency of use
- Piping domestic water to households, using the community for manual labor
- "The Causes and Distribution of Deserts." Revision World. N.p., n.d. Web. 03 Dec. 2013.
- Coping with Water Scarcity. Publication. Rome: FAO, 2012. Print.
- Garrington, Sally. Water Supply Conflict: Las Vegas and the Great Basin Aquifer. Rep. Geofile Online, Sept. 2011. Web. 8 Dec. 2013.
- "Introduction to Wastewater Treatment Processes." Water Home. The World Bank, 2013. Web. 30 Nov. 2013.
- "Map Details Global Water Stress." BBC News. BBC, 21 Aug. 2006. Web. 02 Dec. 2013.
- Mbugua, Alice. Water Scarcity in Northern Bangladesh. Rep. Surrey: Voluntary Services Overseas, 2011. Water Scarcity in Northern Bangladesh. Web. 8 Dec. 2013.
- Pfly. Ganges-Brahmaputra-Meghna Basins. Digital image. Wikimedia Commons, 30 Apr. 2011. Web. 8 Dec. 2013.
- Rain Shadow Effect. Digital image. LIBGuides. University of Wisconsin, 12 Dec. 2010. Web. 5 Dec. 2013.
- Water Scarcity. Digital image. World Water Assessment Programme, Mar. 2012. Web. 2 Dec. 2013.